[Source]
A plane-wave DFT calculation with PBE was carried out for a relaxed structure of Sm2ReOs3.

Cell: 5.5200 5.5200 8.5318 Å, 90.00 90.00 120.00°
Last column: nearest neighbours and their distance in Å.
Positions (direct):
Re1 0.0000 0.0000 0.5000  6 Os 2.69
Re2 0.0000 0.0000 0.0000  6 Os 2.69
Os1 0.8285 0.1715 0.7500  4 Os 2.68-2.84, 2 Re 2.69
Os2 0.3430 0.1715 0.7500  4 Os 2.68-2.84, 2 Re 2.69
Os3 0.1715 0.8285 0.2500  4 Os 2.68-2.84, 2 Re 2.69
Os4 0.8285 0.6570 0.7500  4 Os 2.68-2.84, 2 Re 2.69
Os5 0.1715 0.3430 0.2500  4 Os 2.68-2.84, 2 Re 2.69
Os6 0.6570 0.8285 0.2500  4 Os 2.68-2.84, 2 Re 2.69
Sm1 0.6667 0.3333 0.4339  9 Os 3.11-3.17, 4 Sm 3.14-3.38, 3 Re 3.24
Sm2 0.3333 0.6667 0.9339  9 Os 3.11-3.17, 4 Sm 3.14-3.38, 3 Re 3.24
Sm3 0.6667 0.3333 0.0661  9 Os 3.11-3.17, 4 Sm 3.14-3.38, 3 Re 3.24
Sm4 0.3333 0.6667 0.5661  9 Os 3.11-3.17, 4 Sm 3.14-3.38, 3 Re 3.24

Crystal system: hexagonal
Volume in A^3/atom: 18.8
Uncorrected energy in eV per atom: -9.42



A plane-wave DFT calculation with PBE was carried out for a relaxed structure of ReSn2Os.

Cell: 7.5937 7.5937 6.0295 Å, 50.97 50.97 90.00°
Last column: nearest neighbours and their distance in Å.
Positions (direct):
Os1 0.0000 0.0000 0.0000  4 Sn 2.72, 2 Re 2.74
Os2 0.7500 0.2500 0.5000  4 Sn 2.72, 2 Re 2.74
Re1 0.2500 0.7500 0.5000  2 Os 2.74, 4 Sn 2.83
Re2 0.5000 0.5000 0.0000  2 Os 2.74, 4 Sn 2.83
Sn1 0.3750 0.3646 0.7500  2 Os 2.72, 2 Sn 2.75, 2 Re 2.83
Sn2 0.1146 0.6250 0.2500  2 Os 2.72, 2 Sn 2.75, 2 Re 2.83
Sn3 0.6354 0.1250 0.2500  2 Os 2.72, 2 Sn 2.75, 2 Re 2.83
Sn4 0.8750 0.8854 0.7500  2 Os 2.72, 2 Sn 2.75, 2 Re 2.83

Crystal system: tetragonal
Volume in A^3/atom: 19.8
Distance to the lowest polymorph of the same formula in meV per atom: 642.9



Copy entry 1 word for word.
A plane-wave DFT calculation with PBE was carried out for a relaxed structure of Sm2ReOs3.

Cell: 5.5200 5.5200 8.5318 Å, 90.00 90.00 120.00°
Last column: nearest neighbours and their distance in Å.
Positions (direct):
Re1 0.0000 0.0000 0.5000  6 Os 2.69
Re2 0.0000 0.0000 0.0000  6 Os 2.69
Os1 0.8285 0.1715 0.7500  4 Os 2.68-2.84, 2 Re 2.69
Os2 0.3430 0.1715 0.7500  4 Os 2.68-2.84, 2 Re 2.69
Os3 0.1715 0.8285 0.2500  4 Os 2.68-2.84, 2 Re 2.69
Os4 0.8285 0.6570 0.7500  4 Os 2.68-2.84, 2 Re 2.69
Os5 0.1715 0.3430 0.2500  4 Os 2.68-2.84, 2 Re 2.69
Os6 0.6570 0.8285 0.2500  4 Os 2.68-2.84, 2 Re 2.69
Sm1 0.6667 0.3333 0.4339  9 Os 3.11-3.17, 4 Sm 3.14-3.38, 3 Re 3.24
Sm2 0.3333 0.6667 0.9339  9 Os 3.11-3.17, 4 Sm 3.14-3.38, 3 Re 3.24
Sm3 0.6667 0.3333 0.0661  9 Os 3.11-3.17, 4 Sm 3.14-3.38, 3 Re 3.24
Sm4 0.3333 0.6667 0.5661  9 Os 3.11-3.17, 4 Sm 3.14-3.38, 3 Re 3.24

Crystal system: hexagonal
Volume in A^3/atom: 18.8
Uncorrected energy in eV per atom: -9.42



Number 2 is which compound? ReSn2Os

[Job]
Now work out how many lines earlier on have the word "in" in them; a number is enough.

[Outcome]
9